Investigating the brain - Higher
Modern science has allowed scientists to discover how different parts of the brain function. Neuroscientists have been able to map various regions of the brain to particular functions by studying patients with brain damage, electrically stimulating different parts of the brain and using MRIMagnetic Resonance Imaging - A computer that can scan the human body using magnetic fields and radio waves, used in medicine. scanning techniques.
A well-documented example of brain damage is of Phineas Gage, who in 1848 had a serious accident whilst laying railway tracks and an iron rod went through his skull.
-- Inserted here: crystal structures --
~~~
(1)
Compound: Li2PrGe
Source: the Materials Project database
Functional: PBE
Structure: relaxed

Lattice parameters (Å, degrees): 4.3934 4.3934 9.6317 90.00 90.00 120.00
Atoms (fractional coordinates):
Pr1 0.3333 0.6667 0.2500
Pr2 0.6667 0.3333 0.7500
Ge1 0.0000 0.0000 0.5000
Ge2 0.0000 0.0000 0.0000
Li1 0.3333 0.6667 0.5643
Li2 0.3333 0.6667 0.9357
Li3 0.6667 0.3333 0.0643
Li4 0.6667 0.3333 0.4357

Computed properties:
E_tot (eV/atom): -3.6604

(2)
Compound: LiPrGe2
Source: the Materials Project database
Functional: PBE
Structure: relaxed

Lattice parameters (Å, degrees): 3.9981 7.8564 10.7996 90.00 90.00 90.00
Atoms (fractional coordinates):
Ge1 0.7500 0.8428 0.1834
Ge2 0.2500 0.2196 0.4332
Ge3 0.2500 0.1572 0.8166
Ge4 0.2500 0.6572 0.6834
Ge5 0.7500 0.2804 0.9332
Ge6 0.2500 0.7196 0.0668
Ge7 0.7500 0.3428 0.3166
Ge8 0.7500 0.7804 0.5668
Pr1 0.2500 0.1397 0.1341
Pr2 0.7500 0.8603 0.8659
Pr3 0.7500 0.3603 0.6341
Pr4 0.2500 0.6397 0.3659
Li1 0.7500 0.5093 0.1110
Li2 0.2500 0.9907 0.6110
Li3 0.7500 0.0093 0.3890
Li4 0.2500 0.4907 0.8890

Computed properties:
E_tot (eV/atom): -4.6519

| no. | V (Å³ per cell) | formation energy (eV/atom) |
| --- | --- | --- |
| 1 | 161 | -0.355 |
| 2 | 339 | -0.668 |


VASP calculation (PBE with a Hubbard U) on an optimized crystal structure of Li5V2Co5O12.

Properties
- Formation energy from the elements: -39.5 eV per formula unit
- Electronic total energy: -5.9303 eV/atom
- Corrected total energy (MP2020 scheme): -6.76 eV per atom

Cell lengths 5.053, 9.092, 9.858 Å; angles 90.00, 101.15, 90.00 degrees
Space group C2 (No. 5)
One atom of each set of equivalent atoms:
Li: 0.000 0.000 0.000 (multiplicity 2)
Li: 0.247 0.998 0.752 (multiplicity 4)
Li: 0.249 0.844 0.245 (multiplicity 4)
V: 0.000 0.175 0.500 (multiplicity 2)
V: 0.000 0.663 0.000 (multiplicity 2)
Co: 0.000 0.339 0.000 (multiplicity 2)
Co: 0.000 0.503 0.500 (multiplicity 2)
Co: 0.000 0.844 0.500 (multiplicity 2)
Co: 0.245 0.170 0.246 (multiplicity 4)
O: 0.115 0.516 0.882 (multiplicity 4)
O: 0.118 0.329 0.379 (multiplicity 4)
O: 0.120 0.017 0.378 (multiplicity 4)
O: 0.146 0.829 0.884 (multiplicity 4)
O: 0.147 0.673 0.385 (multiplicity 4)
O: 0.153 0.178 0.885 (multiplicity 4)


Entry 1:
# Si3As

A geometry-optimized Si3As structure (GGA-PBE, the Materials Project).

a = 4.510 Å, b = 4.510 Å, c = 4.510 Å
α = 60.00°, β = 60.00°, γ = 60.00°
Sites, in units of the cell vectors:
Si 0.250 0.250 0.250
Si 0.750 0.750 0.750
Si 0.500 0.500 0.500
As 0.000 0.000 0.000

Values from the calculation:
* polymorph energy (0 for the lowest one): 0.000 eV per atom
* M_tot: 0.0001 μB per atom
* crystal system: cubic
* space group: Fm-3m

***

Entry 2:
# Sr4SiAs4

A geometry-optimized Sr4SiAs4 structure (GGA-PBE, the Materials Project).

a = 12.863 Å, b = 12.863 Å, c = 12.863 Å
α = 90.00°, β = 90.00°, γ = 90.00°
Sites, in units of the cell vectors:
Sr 0.133 0.645 0.095
Sr 0.355 0.905 0.133
Sr 0.095 0.867 0.355
Sr 0.867 0.355 0.095
Sr 0.645 0.095 0.133
Sr 0.905 0.133 0.355
~~~
Phineas survived the accident and could still walk and talk, but it was documented that his personality changed following it. It was noted that he lost his inhibitions socially and emotionally.
Doctors realised the changes in Phineas were due to the damage in the particular parts of the brain that the iron rod had passed through. This important case allowed scientists to examine the effect of the injuries on his brain activity.
Non-invasive brain procedures include:
**Next to the article, the page also holds data records**
- - -
<A>
Compound: Mg6CoBiO8
Source: the Materials Project database
Functional: PBE+U
Structure: optimized geometry

Cell and atoms, written as CIF:
```
data_Mg6CoBiO8
_chemical_formula_sum 'Mg6 Co1 Bi1 O8'
_cell_length_a 4.473
_cell_length_b 4.473
_cell_length_c 8.950
_cell_angle_alpha 90.00
_cell_angle_beta 90.00
_cell_angle_gamma 90.00
_space_group_name_H-M_alt 'P 4/m m m'
_space_group_IT_number 123
_space_group_name_Hall '-P 4 2'
loop_
_atom_site_label
_atom_site_type_symbol
_atom_site_fract_x
_atom_site_fract_y
_atom_site_fract_z
Mg1 Mg 0.000 0.000 0.000
Mg2 Mg 0.000 0.000 0.500
Mg3 Mg 0.000 0.500 0.224
Co1 Co 0.500 0.500 0.000
Bi1 Bi 0.500 0.500 0.500
O1 O 0.000 0.000 0.251
O2 O 0.000 0.500 0.000
O3 O 0.000 0.500 0.500
O4 O 0.500 0.500 0.242
```

Volume: 179 Å³/cell

<B>
Compound: Mg6CoBiO8
Source: the Materials Project database
Functional: PBE+U
Structure: optimized geometry

Cell and atoms, written as CIF:
```
data_Mg6CoBiO8
_chemical_formula_sum 'Mg6 Co1 Bi1 O8'
_cell_length_a 4.450
_cell_length_b 4.450
_cell_length_c 8.875
_cell_angle_alpha 90.00
_cell_angle_beta 90.00
_cell_angle_gamma 90.00
_space_group_name_H-M_alt 'P 4/m m m'
_space_group_IT_number 123
_space_group_name_Hall '-P 4 2'
loop_
_atom_site_label
_atom_site_type_symbol
_atom_site_fract_x
_atom_site_fract_y
_atom_site_fract_z
Mg1 Mg 0.000 0.000 0.000
Mg2 Mg 0.000 0.500 0.237
Mg3 Mg 0.500 0.500 0.000
Co1 Co 0.000 0.000 0.500
Bi1 Bi 0.500 0.500 0.500
O1 O 0.000 0.000 0.233
O2 O 0.000 0.500 0.000
O3 O 0.000 0.500 0.500
O4 O 0.500 0.500 0.232
```

Volume: 176 Å³/cell

Energy ordering: <B> at the bottom, the next structure 4.5 kJ/mol of atoms above.

----------

VASP calculation (PBE) on Na14Y4Al4Si7S5O48 after structural relaxation.

The structure in CIF format:
```
data_Na14Y4Al4Si7S5O48
_cell_length_a 9.096
_cell_length_b 15.801
_cell_length_c 22.503
_cell_angle_alpha 89.74
_cell_angle_beta 89.95
_cell_angle_gamma 89.90
_space_group_name_H-M_alt 'P 1'
_space_group_IT_number 1
_space_group_name_Hall 'P 1'
loop_
_atom_site_label
_atom_site_fract_x
_atom_site_fract_y
_atom_site_fract_z
Na1 0.000 0.000 0.000
Na2 0.000 0.344 0.660
Na3 0.013 0.045 0.322
Na4 0.018 0.696 0.664
Na5 0.122 0.198 0.160
Na6 0.126 0.537 0.825
Na7 0.140 0.498 0.503
Na8 0.145 0.842 0.146
Na9 0.146 0.873 0.491
Na10 0.168 0.181 0.490
Na11 0.181 0.849 0.820
Na12 0.186 0.517 0.142
Na13 0.306 0.685 0.733
Na14 0.311 0.030 0.411
Na15 0.320 0.360 0.068
Na16 0.328 0.363 0.578
Na17 0.336 0.688 0.231
Na18 0.338 0.021 0.911
Na19 0.456 0.850 0.318
Na20 0.462 0.510 0.647
Na21 0.468 0.191 0.978
Na22 0.492 0.845 0.652
Na23 0.497 0.497 0.995
Na24 0.509 0.198 0.666
Na25 0.516 0.548 0.324
Na26 0.626 0.051 0.826
Na27 0.630 0.695 0.158
Na28 0.642 0.001 0.501
Na29 0.649 0.345 0.148
Na30 0.672 0.689 0.485
Na31 0.679 0.015 0.141
Na32 0.702 0.349 0.817
Na33 0.803 0.518 0.413
Na34 0.813 0.861 0.074
Na35 0.816 0.198 0.738
Na36 0.820 0.860 0.573
Na37 0.834 0.189 0.231
Na38 0.837 0.521 0.904
Na39 0.953 0.018 0.646
Na40 0.960 0.348 0.320
- - -
Electrical stimulation
Scientists have stimulated different parts of the brain with a weak electrical current and asked patients to describe what they experienced. If the motor area is stimulated, the patient makes an involuntary movement. If the visual area is stimulated, they may see a flash of colour. EEGs (Electroencephalograms) can be created and studied, to observe the electrical activity in the brain.
There are three modern techniques used to scan brains:
- MRI (magnetic resonance imaging)
- CT (computed tomography)
- PET (positron emission tomography)
== Records of crystals, kept here for reference ==
-- begin --
! Y2Pb2O7 (r²SCAN, optimized geometry); values from VASP
! - magnetic moment (μB/cell) = 0.000
! - DFT formation energy (eV per atom) = -2.34
! - space group = No. 227
! - theoretical density (g/cm3) = 7.70
&SYSTEM
  ibrav = 0, nat = 22, ntyp = 3
/
ATOMIC_SPECIES
O 16.00 O.upf
Pb 207.20 Pb.upf
Y 88.91 Y.upf
ATOMIC_POSITIONS angstrom
O -5.976 -1.774 -0.931
O -8.077 -1.890 -4.076
O -4.359 -2.529 -3.785
O -5.671 -0.860 -5.451
O -2.101 -0.116 -3.145
O -8.475 -3.857 -6.246
O -9.748 0.061 -5.539
O -6.406 -3.840 -2.613
O -12.115 -2.834 -6.114
O -5.384 0.626 -3.216
O -3.718 0.640 -0.291
O -7.679 0.078 -1.906
O -10.483 -2.919 -2.701
O -2.693 -2.516 -0.860
Pb -5.699 0.359 -1.099
Pb -4.549 -3.178 -1.737
Pb -2.019 -0.472 -1.019
Pb -3.886 -0.488 -4.298
Y -10.096 -2.362 -5.095
Y -8.229 -2.347 -1.816
Y -7.566 0.344 -4.377
Y -6.417 -3.193 -5.015
CELL_PARAMETERS angstrom
-5.061 -5.411 -1.435
-7.359 1.663 -0.159
-3.734 -0.031 -6.558

! PdO (r²SCAN, optimized geometry); values from VASP
! - magnetic moment (μB/cell) = 0.000
! - DFT formation energy (eV per atom) = -0.61
! - space group = No. 131
! - theoretical density (g/cm3) = 8.12
&SYSTEM
  ibrav = 0, nat = 4, ntyp = 2
/
ATOMIC_SPECIES
Pd 106.42 Pd.upf
O 16.00 O.upf
ATOMIC_POSITIONS angstrom
Pd 0.241 -0.403 1.453
Pd -1.380 2.596 0.949
O 0.188 3.886 1.046
O 0.063 1.295 0.349
CELL_PARAMETERS angstrom
-3.012 0.010 0.503
0.483 -0.805 2.906
0.251 5.181 1.394

=====

Entry 1:
## NaMg6Cd (PBE)

Data for crystalline NaMg6Cd at its relaxed geometry.

Structure (POSCAR):
```
NaMg6Cd
1.0
-2.069 3.744 -3.031
-4.464 1.188 4.514
6.724 7.500 4.676
Na Mg Cd
2 12 2
Direct
0.000 0.500 0.333
0.000 0.000 0.833
0.000 0.251 0.083
0.000 0.749 0.083
0.000 0.500 0.834
0.500 0.252 0.917
0.500 0.748 0.917
0.500 0.500 0.667
0.000 0.751 0.583
0.000 0.249 0.583
0.000 0.000 0.334
0.500 0.752 0.417
0.500 0.248 0.417
0.500 0.000 0.167
0.500 0.500 0.166
0.500 0.000 0.666
```

Magnetization = 0.00 μB per formula unit
Final energy = -11.73 eV/f.u.


Entry 2:
## Ti5TlSe8 (PBE)

Data for crystalline Ti5TlSe8 at its relaxed geometry.

Structure (POSCAR):
```
Ti5TlSe8
1.0
9.451 -1.787 0.000
9.451 1.787 0.000
-2.320 0.000 8.949
Ti Tl Se
5 1 8
Direct
0.000 0.000 0.000
0.291 0.291 0.651
0.348 0.348 0.002
0.652 0.652 0.998
0.709 0.709 0.349
0.500 0.500 0.500
0.086 0.086 0.819
0.161 0.161 0.499
0.242 0.242 0.162
0.427 0.427 0.822
0.573 0.573 0.178
0.758 0.758 0.838
0.839 0.839 0.501
0.914 0.914 0.181
```

Final energy = -85.30 eV/f.u.
Crystal system = monoclinic
Symmetry = C2/m, No. 12
-- stop --
MRI scanners use strong magnetic fields and radio waves to show details of brain structure and function. Patients are asked to perform various tasks and, by looking at the scan, scientists can see which parts of the brain are active when the task is carried out. The patient lies on a bed which moves into the machine. Some people can feel claustrophobic inside an MRI scanner.
CT scanners are similar to MRIs. The patient lies on a bed which passes through a ring of equipment (not into the machine like in MRI). The ring takes a series of x-rays from different angles. These are processed by a computer to allow the doctors to see inside brains and other parts of the body.
PET scanners detect gamma rays that radiate from a chemical compound called a tracer. PET scans are used to detect high levels of metabolic reactions inside a person. Before going into the scanner the patient consumes the tracer. This travels to any area of the body which has unusually high levels of metabolic reactions. This is often a tumour and so PET scans are used to detect cancerA disease caused by normal cells changing so that they grow and divide in an uncontrolled way. The uncontrolled growth causes a lump called a tumour to form..